The prevalence of symptoms in end-stage renal disease: a systematic review FEM Murtagh, J Addington-Hall, IJ Higginson Advances in chronic kidney disease 14 (1), 82-99, 2007 | 1228 | 2007 |
Depression in advanced disease: a systematic review Part 1. Prevalence and case finding M Hotopf, J Chidgey, J Addington-Hall, KL Ly Palliative medicine 16 (2), 81-97, 2002 | 647 | 2002 |
Who should measure quality of life? J Addington-Hall, L Kalra Bmj 322 (7299), 1417-1420, 2001 | 574 | 2001 |
Secondary analysis of qualitative data: a valuable method for exploring sensitive issues with an elusive population? T Long-Sutehall, M Sque, J Addington-Hall Journal of Research in Nursing 16 (4), 335-344, 2011 | 512 | 2011 |
A comparison of the palliative care needs of patients dying from chronic respiratory diseases and lung cancer P Edmonds, S Karlsen, S Khan, J Addington-Hall Palliative medicine 15 (4), 287-295, 2001 | 470 | 2001 |
Randomised controlled trial of non-directive counselling, cognitive-behaviour therapy, and usual general practitioner care for patients with depression. I: Clinical effectiveness E Ward, M King, M Lloyd, P Bower, B Sibbald, S Farrelly, M Gabbay, ... Bmj 321 (7273), 1383-1388, 2000 | 461 | 2000 |
Judging the quality of care at the end of life: can proxies provide reliable information? CJ McPherson, JM Addington-Hall Social science & medicine 56 (1), 95-109, 2003 | 437 | 2003 |
Dying from cancer: results of a national population-based investigation J Addington-Hall, M McCarthy Palliative medicine 9 (4), 295-305, 1995 | 429 | 1995 |
The healthcare needs of chronic obstructive pulmonary disease patients in the last year of life H Elkington, P White, J Addington-Hall, R Higgs, P Edmonds Palliative medicine 19 (6), 485-491, 2005 | 392 | 2005 |
Knowledge and communication difficulties for patients with chronic heart failure: qualitative study AE Rogers, JM Addington-Hall, AJ Abery, ASM McCoy, C Bulpitt, ... Bmj 321 (7261), 605-607, 2000 | 377 | 2000 |
Place of death and access to home care services: are certain patient groups at a disadvantage? GE Grande, JM Addington-Hall, CJ Todd Social science & medicine 47 (5), 565-579, 1998 | 362 | 1998 |
Symptoms in advanced renal disease: a cross-sectional survey of symptom prevalence in stage 5 chronic kidney disease managed without dialysis FEM Murtagh, JM Addington-Hall, PM Edmonds, P Donohoe, I Carey, ... Journal of palliative medicine 10 (6), 1266-1276, 2007 | 345 | 2007 |
Place of death of older persons with dementia. A study in five European countries D Houttekier, J Cohen, J Bilsen, J Addington‐Hall, ... Journal of the American Geriatrics Society 58 (4), 751-756, 2010 | 337 | 2010 |
Research sensitivities to palliative care patients J Addington‐Hall European journal of cancer care 11 (3), 220-224, 2002 | 324 | 2002 |
The experience of dying with dementia: a retrospective study M McCARTHY, J ADDINGTON‐HALL, DAN Altmann International journal of geriatric psychiatry 12 (3), 404-409, 1997 | 322 | 1997 |
Randomised controlled trial of effects of coordinating care for terminally ill cancer patients. JM Addington-Hall, LD MacDonald, HR Anderson, J Chamberlain, ... British medical journal 305 (6865), 1317-1322, 1992 | 304 | 1992 |
Which patients with cancer die at home? A study of six European countries using death certificate data J Cohen, D Houttekier, B Onwuteaka-Philipsen, G Miccinesi, ... Journal of Clinical Oncology 28 (13), 2267-2273, 2010 | 290 | 2010 |
Supporting lay carers in end of life care: current gaps and future priorities G Grande, K Stajduhar, S Aoun, C Toye, L Funk, J Addington-Hall, ... Palliative medicine 23 (4), 339-344, 2009 | 282 | 2009 |
+++
# 1
## Pm2Dy8In (PBE-GGA)

Data for a geometry-optimized Pm2Dy8In structure.

* total magnetization: 0.00 μB per formula unit
* relative energy among the computed polymorphs: 0 meV/atom
* energy of formation: -0.06 eV per atom
* energy: -4.521 eV/atom
* crystal system: monoclinic

a = 4.959 Å, b = 7.893 Å, c = 9.353 Å
α = 104.74°, β = 105.37°, γ = 90.00°
Element x y z (fractional)
Pm 0.778 0.365 0.555
Pm 0.222 0.635 0.445
Dy 0.411 0.556 0.822
Dy 0.680 0.909 0.360
Dy 0.866 0.825 0.732
Dy 0.956 0.275 0.912
Dy 0.134 0.175 0.268
Dy 0.320 0.091 0.640
Dy 0.589 0.444 0.178
Dy 0.044 0.725 0.088
In 0.500 0.000 0.000

=====

# 2
## Pm2Dy5In4 (PBE-GGA)

Data for a geometry-optimized Pm2Dy5In4 structure.

* total magnetization: 0.00 μB per formula unit
* energy of formation: -0.12 eV per atom
* energy: -4.072 eV/atom
* crystal system: orthorhombic

a = 3.694 Å, b = 8.914 Å, c = 11.549 Å
α = 112.70°, β = 99.20°, γ = 90.00°
Element x y z (fractional)
Pm 0.581 0.581 0.162
Pm 0.419 0.419 0.838
Dy 0.154 0.361 0.308
Dy 0.846 0.639 0.692
Dy 0.154 0.947 0.308
Dy 0.500 0.000 0.000
Dy 0.846 0.053 0.692
In 0.725 0.725 0.450
In 0.000 0.271 0.000
In 0.275 0.275 0.550
In 0.000 0.729 0.000

=====

# 3
## Pm2Dy8In (PBE-GGA)

Data for a geometry-optimized Pm2Dy8In structure.

* total magnetization: 0.00 μB per formula unit
* relative energy among the computed polymorphs: 67 meV/atom
* energy of formation: 0.01 eV per atom
* energy: -4.454 eV/atom
* crystal system: orthorhombic

a = 5.436 Å, b = 7.597 Å, c = 9.773 Å
α = 112.87°, β = 106.14°, γ = 90.00°
Element x y z (fractional)
Pm 0.193 0.693 0.387
Pm 0.807 0.307 0.613
Dy 0.637 0.867 0.274
Dy 0.363 0.593 0.726
Dy 0.179 0.179 0.357
Dy 0.000 0.259 0.000
Dy 0.821 0.821 0.643
Dy 0.637 0.407 0.274
Dy 0.363 0.133 0.726
Dy 0.000 0.741 0.000
In 0.500 0.000 0.000

=====

# 1
BaLaTe2: relaxed, PBE.

Lattice parameters (Å, degrees): 4.7690 4.7690 6.7442 90.00 90.00 90.00
Element x y z (fractional)
Ba  0.0000  0.0000  0.0000
La  0.5000  0.5000  0.5000
Te  0.0000  0.0000  0.5000
Te  0.5000  0.5000  0.0000

Properties
energy relative to the elements, uncorrected: -622 kJ/mol of formula units
final energy: -19.6 eV/cell


# 2
BaLa4Te6: relaxed, PBE.

Lattice parameters (Å, degrees): 7.9014 7.9014 23.6625 90.00 90.00 145.97
Element x y z (fractional)
Ba  0.1615  0.8385  0.7500
Ba  0.8385  0.1615  0.2500
La  0.0918  0.9082  0.1270
La  0.0918  0.9082  0.3730
La  0.3614  0.6386  0.0391
La  0.3614  0.6386  0.4609
La  0.6386  0.3614  0.5391
La  0.6386  0.3614  0.9609
La  0.9082  0.0918  0.6270
La  0.9082  0.0918  0.8730
Te  0.0000  0.0000  0.0000
Te  0.0000  0.0000  0.5000
Te  0.1692  0.8308  0.2500
Te  0.2686  0.7314  0.5881
Te  0.2686  0.7314  0.9119
Te  0.4544  0.5456  0.1615
Te  0.4544  0.5456  0.3385
Te  0.5456  0.4544  0.6615
Te  0.5456  0.4544  0.8385
Te  0.7314  0.2686  0.0881
Te  0.7314  0.2686  0.4119
Te  0.8308  0.1692  0.7500

Properties
energy relative to the elements, uncorrected: -1718 kJ/mol of formula units
+++
The last year of life of COPD: a qualitative study of symptoms and services H Elkington, P White, J Addington-Hall, R Higgs, C Pettinari Respiratory medicine 98 (5), 439-445, 2004 | 277 | 2004 |
After-death interviews with surrogates/bereaved family members: some issues of validity J Addington-Hall, C McPherson Journal of pain and symptom management 22 (3), 784-790, 2001 | 267 | 2001 |